September 7 to November 30, 2024.
With One Eye Open
Group exhibition
A graffiti photography exhibition.
Curator: Jasper van Es.
The exhibition With One Eye Open is an ode to photography in graffiti. From the photography that enabled graffiti to spread worldwide to contemporary writers who consider the photo as the final piece. Both a glimpse into the hidden world for many and some impressive photography projects. We showcase both influential projects and those that have remained unknown to the general public. An international, national, and local lineup of photographers and graffiti writers.
Participating photographers and graffiti artists (or projects): Alex Fakso - Analog Delinquents - Bryan Stoel & Stijn van Leest - Edward Nightingale - Fuzi - Good Guy Boris - Ikarus & Errorflict - Luke Da Duke - Nawas - Mjay - Martha Cooper - Moses & Taps - Our Side of the Story - Potato and Onion - Ralph Roelse - RDJ - Tripl / Furious - Disposable Project.
# 1
The following is a r²SCAN calculation of a relaxed structure of SrIF, from the Materials Project.

Cell lengths 4.2761, 4.2761, 8.9788 Å; angles 90.00, 90.00, 90.00 degrees
With the nearest neighbours (Å) after each atom.
Space group P4/nmm (No. 129, origin choice 2)
Unique sites:
1 Sr 0.2500 0.2500 0.1478 (multiplicity 2)  4 F 2.52
2 I 0.2500 0.2500 0.6734 (multiplicity 2)  4 Sr 3.42, 4 F 3.63
3 F 0.2500 0.7500 0.0000 (multiplicity 2)  4 Sr 2.52

formation energy from the elements = -300.8 kJ/mol of atoms
energy = -17.395 eV/atom

***

# 2
The following is a r²SCAN calculation of a relaxed structure of TiCu2Te3, from the Materials Project.

Cell lengths 19.9599, 4.0030, 7.1738 Å; angles 90.00, 97.53, 90.00 degrees
With the nearest neighbours (Å) after each atom.
Space group C2/m (No. 12)
Unique sites:
1 Ti 0.1462 0.0000 0.0606 (multiplicity 4)  5 Te 2.64-2.95, 1 Cu 2.79
2 Cu 0.0455 0.5000 0.1525 (multiplicity 4)  4 Te 2.54-2.64, 1 Cu 2.66
3 Cu 0.2148 0.0000 0.4261 (multiplicity 4)  2 Cu 2.59, 4 Te 2.59-2.66, 1 Ti 2.79
4 Te 0.0838 0.0000 0.3634 (multiplicity 4)  3 Cu 2.56-2.59, 1 Ti 2.64
5 Te 0.0860 0.5000 0.8317 (multiplicity 4)  2 Cu 2.54-2.64, 2 Ti 2.76
6 Te 0.2480 0.5000 0.2115 (multiplicity 4)  3 Cu 2.61-2.66

formation energy from the elements = -47.1 kJ/mol of atoms
energy = -18.969 eV/atom

***

# 3
The following is a r²SCAN calculation of a relaxed structure of CuAuO2, from the Materials Project.

Cell lengths 5.9598, 2.7988, 6.0956 Å; angles 90.00, 98.09, 90.00 degrees
With the nearest neighbours (Å) after each atom.
Space group C2/m (No. 12)
Unique sites:
1 Cu 0.0000 0.0000 0.0000 (multiplicity 2)  4 O 1.87
2 Au 0.0000 0.5000 0.5000 (multiplicity 2)  2 O 2.00
3 O 0.0908 0.5000 0.8291 (multiplicity 4)  2 Cu 1.87, 1 Au 2.00

formation energy from the elements = -46.7 kJ/mol of atoms
energy = -18.828 eV/atom

***

# 4
The following is a r²SCAN calculation of a relaxed structure of EuIO, from the Materials Project.

Cell lengths 4.0091, 4.0091, 9.6480 Å; angles 90.00, 90.00, 90.00 degrees
With the nearest neighbours (Å) after each atom.
Space group P4/nmm (No. 129, origin choice 2)
Unique sites:
1 Eu 0.2500 0.2500 0.1194 (multiplicity 2)  4 O 2.31
2 I 0.2500 0.2500 0.6751 (multiplicity 2)  4 Eu 3.46, 4 O 3.72
3 O 0.2500 0.7500 0.0000 (multiplicity 2)  4 Eu 2.31

formation energy from the elements = -233.9 kJ/mol of atoms
energy = -25.442 eV/atom

***

# 5
The following is a r²SCAN calculation of a relaxed structure of LiLu2Tc, from the Materials Project.

Cell lengths 6.8043, 6.8043, 6.8043 Å; angles 90.00, 90.00, 90.00 degrees
With the nearest neighbours (Å) after each atom.
Space group Fm-3m (No. 225)
Unique sites:
1 Li 0.0000 0.0000 0.0000 (multiplicity 4)  8 Lu 2.95
2 Lu 0.2500 0.2500 0.2500 (multiplicity 8)  4 Li 2.95, 4 Tc 2.95
3 Tc 0.0000 0.0000 0.5000 (multiplicity 4)  8 Lu 2.95

formation energy from the elements = -7.9 kJ/mol of atoms
energy = -26.210 eV/atom

***

# 6
Here the article continues >
The title 'With One Eye Open' has a double meaning: on one hand, it refers to the way a photographer looks through the camera lens, and on the other hand, it refers to the constant alertness required due to the risks present both during and after photographing.
The curator is Jasper van Es from Eindhoven. His career is steeped in dedication to the graffiti scene, bridging the gap between the underground art world and a broader audience.
Documentation in graffiti is crucial due to the temporary, fleeting, and often illegal nature of graffiti. Graffiti writers often work in the dark or in hidden locations where the result is only clearly visible in daylight. Initially, capturing the piece's aesthetics was the primary goal, but over time, the focus shifted more towards documenting the creation process. With the advent and growing importance of social media, where images play an omnipresent role, the playing field of graffiti art has partly shifted from the streets to the virtual environment of the internet. The role of photography in graffiti art is twofold. On one hand, evidence is created to show that a piece—a graffiti artwork—actually existed, while on the other hand, a photo or video can also be used as evidence against the artist by the authorities, with all the consequences that entails.
## These crystal structures were left in the piece by mistake
- - -
1.
The following is a DFT calculation (PBE with a Hubbard U) of LiFe2B2O6 after structural relaxation.

Lattice parameters (Å, degrees): 5.2396 9.1696 10.1884 88.77 89.46 89.51
Positions (direct):
Li (0.0000, 0.0000, 0.0000)
Li (0.1721, 0.1504, 0.2664)
Li (0.4972, 0.5123, 0.0114)
Li (0.6813, 0.6662, 0.7188)
Fe (0.0210, 0.3301, 0.4944)
Fe (0.1655, 0.8209, 0.2392)
Fe (0.1737, 0.4902, 0.7347)
Fe (0.5075, 0.1711, 0.9832)
Fe (0.5102, 0.8417, 0.4860)
Fe (0.6709, 0.3286, 0.2454)
Fe (0.6789, 0.0012, 0.7312)
Fe (0.9940, 0.6710, 0.9872)
B (0.0110, 0.3306, 0.9879)
B (0.0181, 0.6697, 0.4999)
B (0.1677, 0.4902, 0.2239)
B (0.1739, 0.8254, 0.7386)
B (0.4947, 0.8376, 0.9847)
B (0.5027, 0.1609, 0.4751)
B (0.6770, 0.3384, 0.7483)
B (0.6776, 0.0047, 0.2337)
O (0.0294, 0.3681, 0.2683)
O (0.0374, 0.9476, 0.7549)
O (0.0480, 0.6182, 0.1921)
O (0.0643, 0.6877, 0.7754)
O (0.1291, 0.5373, 0.5414)
O (0.1308, 0.4571, 0.9449)
O (0.1446, 0.2008, 0.0017)
O (0.1711, 0.7760, 0.4429)
O (0.2424, 0.8416, 0.0233)
O (0.2491, 0.1670, 0.4548)
O (0.4265, 0.8233, 0.6915)
O (0.4288, 0.4746, 0.2057)
O (0.5325, 0.8955, 0.2907)
O (0.5382, 0.1361, 0.1907)
O (0.5390, 0.4673, 0.7462)
O (0.5672, 0.2092, 0.7936)
O (0.6221, 0.0378, 0.5289)
O (0.6224, 0.9713, 0.9569)
O (0.6239, 0.7075, 0.9701)
O (0.6591, 0.2774, 0.4337)
O (0.7496, 0.3346, 0.0225)
O (0.7626, 0.6933, 0.5209)
O (0.9296, 0.3365, 0.7072)
O (0.9339, 0.0006, 0.2143)

Summary:
**ΔH_f (0 K)**: -2263 meV/atom
**Total energy**: -7.105 eV per atom

***

2.
The following is a DFT calculation (PBE with a Hubbard U) of LiFe2B2O6 after structural relaxation.

Lattice parameters (Å, degrees): 5.2098 9.0887 10.2166 88.88 89.06 89.64
Positions (direct):
Li (0.0000, 0.0000, 0.0000)
Li (0.0071, 0.9904, 0.5081)
Li (0.8200, 0.8397, 0.2542)
Li (0.8583, 0.8322, 0.7578)
Fe (0.0085, 0.3380, 0.9662)
Fe (0.3331, 0.0163, 0.2200)
Fe (0.3433, 0.6626, 0.7183)
Fe (0.5031, 0.8169, 0.9781)
Fe (0.5076, 0.1710, 0.4720)
Fe (0.8357, 0.4966, 0.2235)
Fe (0.8567, 0.1754, 0.7234)
Fe (0.9894, 0.6548, 0.4715)
B (0.0117, 0.3259, 0.4634)
B (0.0160, 0.6649, 0.9683)
B (0.3415, 0.6694, 0.2248)
B (0.3515, 0.9902, 0.7117)
B (0.4945, 0.8415, 0.4730)
B (0.5009, 0.1628, 0.9667)
B (0.8277, 0.1660, 0.2144)
B (0.8348, 0.5060, 0.7264)
O (0.0740, 0.6691, 0.2538)
O (0.0852, 0.9916, 0.7091)
O (0.2608, 0.6586, 0.9147)
O (0.2693, 0.3232, 0.4697)
O (0.3551, 0.7242, 0.5236)
- - -
With One Eye Open is one of the first and perhaps the most comprehensive overview exhibitions about the visual documentation of graffiti and the graffiti scene. It reveals the complete story behind the pieces, as well as the changing role of photography and video as documentation tools over the decades. Van Es brings together the work of young emerging talents and established photographers from the graffiti scene in the exhibition. Particularly special is that some photographers will tell their own stories, revealing details that are usually hidden from the eyes of outsiders. The public thus gets a unique insight into a normally very closed world.
During DDW (October 19 to 27, 2024) open daily.
With thanks to Mondriaanfonds, Het Cultuurfonds Noord-Brabant and SCE.
Opening: Saturday, September 7, from 15:00 to 19:00.